- - -
The following is a theoretical X-ray diffraction stick pattern of Co2OF3. It was derived from DFT lattice parameters and positions (PBE+U), using copper Kα.

```
Co2OF3
1.0
12.2367 0.0000 0.0000
0.0000 3.4323 3.2624
0.0000 -3.4323 3.2624
Co O F
8 4 12
direct
0.0000 0.0000 0.0000
0.1249 0.5325 0.5325
0.2495 0.0628 0.0628
0.3744 0.5290 0.5290
0.5000 0.0644 0.0644
0.6256 0.5290 0.5290
0.7505 0.0628 0.0628
0.8751 0.5325 0.5325
0.0000 0.7036 0.7036
0.2485 0.3588 0.3588
0.5000 0.3568 0.3568
0.7515 0.3588 0.3588
0.0000 0.3179 0.3179
0.1253 0.2339 0.8300
0.1253 0.8300 0.2339
0.2515 0.7464 0.7464
0.3782 0.2447 0.8532
0.3782 0.8532 0.2447
0.5000 0.7404 0.7404
0.6218 0.2447 0.8532
0.6218 0.8532 0.2447
0.7485 0.7464 0.7464
0.8747 0.2339 0.8300
0.8747 0.8300 0.2339
```

Largest 10 diffraction maxima, by angle, 2θ = 15–90°:
2θ = 26.0°, rel. 96.3
2θ = 27.3°, rel. 87.7
2θ = 34.9°, rel. 100.0
2θ = 38.1°, rel. 15.6
2θ = 39.5°, rel. 16.1
2θ = 40.4°, rel. 16.4
2θ = 51.8°, rel. 62.7
2θ = 53.4°, rel. 67.7
2θ = 60.5°, rel. 16.8
2θ = 66.8°, rel. 37.4

=====

Record 1
The following is a simulated X-ray diffraction stick pattern of SrGeO3. It was derived from a cell relaxed with PBE, using Cu Ka.

Cell and atoms:
Cell lengths 7.3554, 7.3554, 11.3711 Å; angles 108.42, 108.42, 60.14 degrees
Atoms (fractional coordinates):
Sr  0.0000  0.5000  0.0000
Sr  0.1558  0.6715  0.5007
Sr  0.3285  0.8442  0.9993
Sr  0.5000  0.0000  0.5000
Sr  0.6715  0.1558  0.0007
Sr  0.8442  0.3285  0.4993
Ge  0.1573  0.8427  0.2500
Ge  0.3231  0.4182  0.7537
Ge  0.4182  0.3231  0.2537
Ge  0.5818  0.6769  0.7463
Ge  0.6769  0.5818  0.2463
Ge  0.8427  0.1573  0.7500
O  0.0114  0.8872  0.1008
O  0.1128  0.9886  0.3992
O  0.1770  0.3687  0.6051
O  0.1840  0.5827  0.2515
O  0.2812  0.4683  0.9048
O  0.3489  0.6511  0.7500
O  0.3687  0.1770  0.1051
O  0.4173  0.8160  0.2485
O  0.4683  0.2812  0.4048
O  0.5317  0.7188  0.5952
O  0.5827  0.1840  0.7515
O  0.6313  0.8230  0.8949
O  0.6511  0.3489  0.2500
O  0.7188  0.5317  0.0952
O  0.8160  0.4173  0.7485
O  0.8230  0.6313  0.3949
O  0.8872  0.0114  0.6008
O  0.9886  0.1128  0.8992

The 6 most intense peaks (2θ from 10° to 80°), most intense first:
| Position (°2θ) | d/Å | I_rel |
| --- | --- | --- |
| 29.50 | 3.028 | 100 |
| 42.55 | 2.125 | 61 |
| 25.59 | 3.481 | 61 |
| 29.68 | 3.010 | 51 |
| 33.87 | 2.646 | 38 |
| 25.70 | 3.466 | 32 |

=====

Record 2
The following is a simulated X-ray diffraction stick pattern of SrGeO3. It was derived from a cell relaxed with PBE, using Cu Ka.

Cell and atoms:
Cell lengths 8.7719, 10.0748, 11.3103 Å; angles 73.91, 89.91, 77.90 degrees
Atoms (fractional coordinates):
Sr  0.0691  0.1494  0.1573
Sr  0.0984  0.1498  0.5143
Sr  0.2481  0.4978  0.0100
Sr  0.2488  0.5024  0.5080
Sr  0.4168  0.8505  0.3359
Sr  0.4223  0.8420  0.9870
Sr  0.5777  0.1580  0.0130
Sr  0.5832  0.1495  0.6641
Sr  0.7512  0.4976  0.4920
Sr  0.7519  0.5022  0.9900
Sr  0.9016  0.8502  0.4857
Sr  0.9309  0.8506  0.8427
Ge  0.0032  0.4952  0.7506
Ge  0.1055  0.7908  0.2168
Ge  0.2401  0.2038  0.8613
Ge  0.2556  0.7948  0.7109
Ge  0.3993  0.2040  0.3596
Ge  0.4972  0.5064  0.7485
Ge  0.5028  0.4936  0.2515
Ge  0.6007  0.7960  0.6404
Ge  0.7444  0.2052  0.2891
Ge  0.7599  0.7962  0.1387
Ge  0.8945  0.2092  0.7832
Ge  0.9968  0.5048  0.2494
O  0.0039  0.5860  0.8601
O  0.0424  0.4146  0.4035
O  0.0790  0.8966  0.6347
O  0.0904  0.1092  0.8431
O  0.1239  0.6265  0.1776
O  0.1316  0.7634  0.3758
O  0.1850  0.3685  0.7394
O  0.2305  0.8966  0.1411
O  0.2433  0.7606  0.8708
O  0.2497  0.2397  0.0036
O  0.2733  0.1023  0.3295
O  0.3148  0.6287  0.6738
O  0.3663  0.2384  0.5021
O  0.3823  0.3680  0.2385
O  0.4026  0.8935  0.6468
O  0.4196  0.0970  0.8456
O  0.4547  0.5867  0.3591
O  0.4947  0.4158  0.9029
O  0.5053  0.5842  0.0971
O  0.5453  0.4133  0.6409
O  0.5804  0.9030  0.1544
O  0.5974  0.1065  0.3532
O  0.6177  0.6320  0.7615
O  0.6337  0.7616  0.4979
O  0.6852  0.3713  0.3262
O  0.7267  0.8977  0.6705
O  0.7503  0.7603  0.9964
- - -
Set down only the last part of the calculation results above, starting with the line that has "0.3992", please.
O  0.1128  0.9886  0.3992
O  0.1770  0.3687  0.6051
O  0.1840  0.5827  0.2515
O  0.2812  0.4683  0.9048
O  0.3489  0.6511  0.7500
O  0.3687  0.1770  0.1051
O  0.4173  0.8160  0.2485
O  0.4683  0.2812  0.4048
O  0.5317  0.7188  0.5952
O  0.5827  0.1840  0.7515
O  0.6313  0.8230  0.8949
O  0.6511  0.3489  0.2500
O  0.7188  0.5317  0.0952
O  0.8160  0.4173  0.7485
O  0.8230  0.6313  0.3949
O  0.8872  0.0114  0.6008
O  0.9886  0.1128  0.8992

The 6 most intense peaks (2θ from 10° to 80°), most intense first:
| Position (°2θ) | d/Å | I_rel |
| --- | --- | --- |
| 29.50 | 3.028 | 100 |
| 42.55 | 2.125 | 61 |
| 25.59 | 3.481 | 61 |
| 29.68 | 3.010 | 51 |
| 33.87 | 2.646 | 38 |
| 25.70 | 3.466 | 32 |

=====

Record 2
The following is a simulated X-ray diffraction stick pattern of SrGeO3. It was derived from a cell relaxed with PBE, using Cu Ka.

Cell and atoms:
Cell lengths 8.7719, 10.0748, 11.3103 Å; angles 73.91, 89.91, 77.90 degrees
Atoms (fractional coordinates):
Sr  0.0691  0.1494  0.1573
Sr  0.0984  0.1498  0.5143
Sr  0.2481  0.4978  0.0100
Sr  0.2488  0.5024  0.5080
Sr  0.4168  0.8505  0.3359
Sr  0.4223  0.8420  0.9870
Sr  0.5777  0.1580  0.0130
Sr  0.5832  0.1495  0.6641
Sr  0.7512  0.4976  0.4920
Sr  0.7519  0.5022  0.9900
Sr  0.9016  0.8502  0.4857
Sr  0.9309  0.8506  0.8427
Ge  0.0032  0.4952  0.7506
Ge  0.1055  0.7908  0.2168
Ge  0.2401  0.2038  0.8613
Ge  0.2556  0.7948  0.7109
Ge  0.3993  0.2040  0.3596
Ge  0.4972  0.5064  0.7485
Ge  0.5028  0.4936  0.2515
Ge  0.6007  0.7960  0.6404
Ge  0.7444  0.2052  0.2891
Ge  0.7599  0.7962  0.1387
Ge  0.8945  0.2092  0.7832
Ge  0.9968  0.5048  0.2494
O  0.0039  0.5860  0.8601
O  0.0424  0.4146  0.4035
O  0.0790  0.8966  0.6347
O  0.0904  0.1092  0.8431
O  0.1239  0.6265  0.1776
O  0.1316  0.7634  0.3758
O  0.1850  0.3685  0.7394
O  0.2305  0.8966  0.1411
O  0.2433  0.7606  0.8708
O  0.2497  0.2397  0.0036
O  0.2733  0.1023  0.3295
O  0.3148  0.6287  0.6738
O  0.3663  0.2384  0.5021
O  0.3823  0.3680  0.2385
O  0.4026  0.8935  0.6468
O  0.4196  0.0970  0.8456
O  0.4547  0.5867  0.3591
O  0.4947  0.4158  0.9029
O  0.5053  0.5842  0.0971
O  0.5453  0.4133  0.6409
O  0.5804  0.9030  0.1544
O  0.5974  0.1065  0.3532
O  0.6177  0.6320  0.7615
O  0.6337  0.7616  0.4979
O  0.6852  0.3713  0.3262
O  0.7267  0.8977  0.6705
O  0.7503  0.7603  0.9964